**Job**
Please transcribe every line further down that contains the word "Sm6Fe13Pb".

**File**
UFe2P2 GGA-PBE relaxed; E_form = -0.793 eV/atom; total energy = -43.02 eV/cell
1.0
-1.901 1.901 4.670
1.901 -1.901 4.670
1.901 1.901 -4.670
U Fe P
1 2 2
direct
0.000 0.000 0.000
0.250 0.750 0.500
0.750 0.250 0.500
0.376 0.376 0.000
0.624 0.624 0.000


U6Fe30P19 GGA-PBE relaxed; E_form = -0.720 eV/atom; total energy = -464.28 eV/cell
1.0
14.629 0.000 0.000
0.000 3.599 0.000
-7.312 0.000 12.672
U Fe P
6 30 19
direct
0.000 0.000 0.000
0.098 0.500 0.705
0.294 0.500 0.395
0.493 0.000 0.806
0.687 0.000 0.493
0.788 0.500 0.198
0.045 0.500 0.324
0.121 0.000 0.869
0.129 0.000 0.252
0.162 0.500 0.138
0.169 0.500 0.527
0.241 0.000 0.683
0.256 0.000 0.070
0.267 0.500 0.940
0.317 0.000 0.559
0.355 0.500 0.830
0.360 0.500 0.226
0.422 0.000 0.991
0.436 0.000 0.372
0.469 0.500 0.640
0.502 0.000 0.238
0.547 0.500 0.518
0.553 0.500 0.133
0.618 0.000 0.673
0.624 0.000 0.057
0.657 0.500 0.945
0.663 0.500 0.331
0.743 0.000 0.875
0.809 0.000 0.363
0.820 0.000 0.750
0.853 0.500 0.634
0.858 0.500 0.024
0.929 0.000 0.175
0.934 0.000 0.564
0.966 0.500 0.448
0.975 0.500 0.835
0.022 0.500 0.162
0.076 0.000 0.545
0.138 0.500 0.974
0.156 0.000 0.416
0.264 0.000 0.846
0.269 0.000 0.229
0.330 0.500 0.665
0.394 0.500 0.100
0.457 0.000 0.535
0.519 0.500 0.970
0.523 0.500 0.354
0.630 0.500 0.782
0.647 0.000 0.224
0.711 0.500 0.654
0.765 0.000 0.036
0.828 0.500 0.471
0.839 0.500 0.863
0.947 0.000 0.337
0.958 0.000 0.728


Fe2P12W GGA-PBE relaxed; E_form = -0.349 eV/atom; total energy = -400.35 eV/cell
1.0
13.760 0.000 0.000
0.000 5.686 0.000
0.000 0.000 11.122
Fe P W
8 48 4
direct
0.150 0.104 0.041
0.150 0.896 0.541
0.350 0.396 0.541
0.350 0.604 0.041
0.650 0.396 0.959
0.650 0.604 0.459
0.850 0.104 0.459
0.850 0.896 0.959
0.009 0.256 0.102
0.009 0.744 0.602
0.087 0.062 0.856
0.087 0.938 0.356
0.092 0.265 0.561
0.092 0.735 0.061
0.168 0.483 0.304
0.168 0.517 0.804
0.189 0.119 0.229
0.189 0.881 0.729
0.203 0.467 0.000
0.203 0.533 0.500
0.297 0.033 0.500
0.297 0.967 0.000
0.311 0.381 0.729
0.311 0.619 0.229
0.332 0.017 0.804
0.332 0.983 0.304
0.408 0.235 0.061
0.408 0.765 0.561
0.413 0.438 0.356
0.413 0.562 0.856
0.491 0.244 0.602
0.491 0.756 0.102
0.509 0.244 0.898
0.509 0.756 0.398
0.587 0.438 0.144
0.587 0.562 0.644
0.592 0.235 0.439
0.592 0.765 0.939
0.668 0.017 0.696
0.668 0.983 0.196
0.689 0.381 0.771
0.689 0.619 0.271
0.703 0.033 0.000
0.703 0.967 0.500
0.797 0.467 0.500
0.797 0.533 0.000
0.811 0.119 0.271
0.811 0.881 0.771
0.832 0.483 0.196
0.832 0.517 0.696
0.908 0.265 0.939
0.908 0.735 0.439
0.913 0.062 0.644
0.913 0.938 0.144
0.991 0.256 0.398
0.991 0.744 0.898
0.000 0.399 0.750
0.000 0.601 0.250
0.500 0.101 0.250
0.500 0.899 0.750


Zr2Fe12P7 GGA-PBE relaxed; E_form = -0.736 eV/atom; total energy = -172.09 eV/cell
1.0
8.844 0.000 0.000
-4.422 7.659 0.000
0.000 0.000 3.596
Zr Fe P
2 12 7
direct
0.000 0.000 0.000
0.333 0.667 0.500
0.051 0.770 0.500
0.096 0.395 0.000
0.230 0.281 0.500
0.298 0.904 0.000
0.391 0.213 0.000
0.547 0.117 0.500
0.570 0.453 0.500
0.605 0.702 0.000
0.719 0.949 0.500
0.787 0.178 0.000
0.822 0.609 0.000
0.883 0.430 0.500
0.080 0.632 0.000
0.263 0.044 0.500
0.368 0.448 0.000
0.552 0.920 0.000
0.667 0.333 0.000
0.781 0.737 0.500
0.956 0.219 0.500


ZrFeP GGA-PBE relaxed; E_form = -1.052 eV/atom; total energy = -102.35 eV/cell
1.0
6.332 0.000 0.000
0.000 3.762 0.000
0.000 0.000 7.088
Zr Fe P
4 4 4
direct
0.015 0.250 0.185
0.485 0.750 0.685
0.515 0.250 0.315
0.985 0.750 0.815
0.146 0.250 0.562
0.354 0.750 0.062
0.646 0.250 0.938
0.854 0.750 0.438
0.216 0.750 0.388
0.284 0.250 0.888
0.716 0.750 0.112
0.784 0.250 0.612


Sm6Fe13Pb GGA-PBE relaxed; E_form = -0.088 eV/atom; total energy = -287.80 eV/cell
1.0
-4.013 4.013 11.665
4.013 -4.013 11.665
4.013 4.013 -11.665
Sm Fe Pb
12 26 2
direct
0.022 0.522 0.176
0.103 0.103 0.000
0.154 0.978 0.500
0.346 0.846 0.824
0.397 0.397 0.000
0.478 0.654 0.500
0.522 0.346 0.500
0.603 0.603 0.000
0.654 0.154 0.176
0.846 0.022 0.500
0.897 0.897 0.000
0.978 0.478 0.824
0.000 0.500 0.500
0.019 0.292 0.500

**Worked solution**
Sm6Fe13Pb GGA-PBE relaxed; E_form = -0.088 eV/atom; total energy = -287.80 eV/cell